Tuesday, September 11, 2007

Random Stuff

1) Weight loss has returned me to the land of the Shirt Tuckers. Although I have a fairly healthy self-esteem (I know I'm cute, and I have been known to stop traffic a time or two, but I'm no Catherine Zeta-Jones), I don't often look in the mirror and smile at what I see. Today, in my new jeans and tucked-in shirt, I did.

2) Someone at the gym said to me today 'you must be a bodybuilder'. I'm not, and perhaps I should have been flattered, but... I wasn't.

3) The best-laid plans... you know the rest. I turned on my broiler yesterday, in accordance with my plan to cook my meat for the week (steak & pork loin, plus salmon for dinner). In the process, the pans that I store in the oven got really hot. How hot, you ask? So hot that I melted a dishcloth taking them out of the oven. There goes the baking sheet and the dishcloth. I didn't even know that was possible. I was tempted to go to Burger King, but instead I made myself an improvised protein shake, and actually drank it all (although I didn't enjoy it).

4) Hunger makes you do funny things. How badly did I want a lemon cookie today? How badly did I want to eat all the sweet things that are in my fridge? On a scale of 1 to 10, I'd say it was a 7.5. I even wanted a Mike's lime, which is a weekday no-no. Not to mention the leftover, unopened package of M & M's. But, I sit tonight having consumed NONE of it. That's right, I resisted all temptations. But I know that my hunger, caused by a missed meal (couldn't be helped), made me crave some stuff I shouldn't eat. I ate some carrots instead. Yum.


Anonymous said...

Ok, you deserve a huge pat on the back for picking carrots over M&Ms!!! I've had to ward off some cravings myself, and it ain't easy!! So good for you. :)

About the bodybuilder comment, Serena (or Venus...I can never tell) in your visualization pic looks like she could be a body builder. Not the bad kind, though...you know, where they look like dudes in bikinis. :)

Kristen said...

Shirt Tucking is a huge step. Congrats!

billy said...

Dang it Rebecca, I love reading your blog, but what I don't love is my co-workers seeing a giant, all pink blog up on my screen ;)

I still resist the tuck...

Ripx180 said...

Ohhh the dreaded T Tuck... I used to love wearing polos and t-shirts not so much these days. That must feel great to tuck it and feel good about it. I have a long way to go to get to that point. I will again someday....

I don't know how you resist food that is in your own fridge. I just make sure its not even available. I would be slipping all the time if I had some of the stuff you talk about (caramels, cookies, and m&ms). Makes me hungry just typing about it.. ;)

I hear you on the hunger/cravings and nice work stopping yours. That seems to be the time I screw up the worst. If I get past hungry I usually end up doing something I regret (eating something bad).

Rebecca said...

Beck - It's Serena, and you're right. I'm sure she was being complimentary, that is ultimately the kind of look I'm going for.

Billy - lol... pink is a great color!

Rip - I used to have to do the whole eliminator thing, so I feel you. It would probably be better for me if I did it anyway, even though I can resist it. I try to buy small servings of stuff as much as possible for my weekend treats.

Melissa said...

The tshirt tuck! That is awesome :)

Awesome job on working through the cravings yesterday do. You are so inspirational. I cant wait to have my own blog entry like that :)

Anonymous said...

Hey there - It's me, your MValley friend. I'm sooooooo very proud of you and thrilled to be linked into this aspect of your life (the last remaining vestige of newness in our friendship...) I might have to do something unexpected to keep it funky (what, like hit the gym? Not that fresh, not that fresh) Seriously though. I read and feel inspired and then I return to my routine and untucked lifestyle. One day, something will resonate and I will have the resolve. Maybe it's your story, maybe it's in me, maybe it's something someone else will say. Keep up the hard and awesome work. You are an amazing woman and I'm blessed to have you as a friend. -S

Marcol said...

Excellent on refusing to let your hunger dictate to you but rather you showed AWESOME discipline. Of course you did, who are we talking about here - Rebecca of course!

I got a chance to check out Serena a week or two ago on USA - her body is HOT so if you're aiming for the same and are starting to get the compliments about it - whoohooo for you ;)

Keep up the great work - who am I kidding that is of course how YOU do it anyway!!!

RunToTheFinish said...

baby steps and you are making tons of them, all right on up to your goal!! Keep it up!

Rob Tucker said...

Very cool on all accounts. I got here late and everyone took all the good comments :)

_Between two parts of the piece: crystal structures_
=====
(1)
! CuSbSe PBE-GGA optimized geometry; values from VASP
&SYSTEM
  ibrav = 0, nat = 6, ntyp = 3
/
ATOMIC_SPECIES
Cu 63.55 Cu.upf
Se 78.96 Se.upf
Sb 121.76 Sb.upf
CELL_PARAMETERS angstrom
3.8517 -0.0064 0.0833
0.0006 4.7187 0.3106
-0.1575 -0.9848 7.2091
ATOMIC_POSITIONS crystal
Cu 0.7500 0.5020 0.7639
Cu 0.2500 0.4980 0.2361
Se 0.2500 0.2435 0.8719
Se 0.7500 0.7565 0.1281
Sb 0.7501 0.2023 0.3828
Sb 0.2499 0.7977 0.6172
! Formation energy (no corrections), eV/f.u.: -0.149
! Space group: P2_1/m
! DOS at the Fermi energy, states/eV/f.u.: 1.3
! Theoretical density, Mg/m³: 6.6

=====

(2)
! Hf5Bi2P PBE-GGA optimized geometry; values from VASP
&SYSTEM
  ibrav = 0, nat = 16, ntyp = 3
/
ATOMIC_SPECIES
Hf 178.49 Hf.upf
Bi 208.98 Bi.upf
P 30.97 P.upf
CELL_PARAMETERS angstrom
4.8561 0.0000 0.0000
-2.4281 7.3221 0.0000
0.0000 0.0000 12.1274
ATOMIC_POSITIONS crystal
Hf 0.3076 0.6153 0.4611
Hf 0.1152 0.2305 0.1280
Hf 0.3076 0.6153 0.0389
Hf 0.8848 0.7695 0.8720
Hf 0.1152 0.2305 0.3720
Hf 0.6924 0.3847 0.5389
Hf 0.6924 0.3847 0.9611
Hf 0.7214 0.4427 0.2500
Hf 0.2786 0.5573 0.7500
Hf 0.8848 0.7695 0.6280
Bi 0.9092 0.8185 0.1191
Bi 0.9092 0.8185 0.3809
Bi 0.0908 0.1815 0.8809
Bi 0.0908 0.1815 0.6191
P 0.7369 0.4738 0.7500
P 0.2631 0.5262 0.2500
! Space group: Cmcm
! E_form, meV/atom: -15
! DOS at the Fermi energy, states/eV/f.u.: 5.3
! Theoretical density, Mg/m³: 10.3

=====

(3)
! CaGeTe3 PBE-GGA optimized geometry; values from VASP
&SYSTEM
  ibrav = 0, nat = 5, ntyp = 3
/
ATOMIC_SPECIES
Ca 40.08 Ca.upf
Te 127.60 Te.upf
Ge 72.64 Ge.upf
CELL_PARAMETERS angstrom
5.4645 0.0000 0.0000
0.0000 5.4645 0.0000
0.0000 0.0000 5.4645
ATOMIC_POSITIONS crystal
Ca 0.5000 0.5000 0.5000
Te 0.0000 0.5000 0.0000
Te 0.0000 0.0000 0.5000
Te 0.5000 0.0000 0.0000
Ge 0.0000 0.0000 0.0000
! Formation energy (no corrections), eV/f.u.: -1.253
! Space group: Pm-3m
! DOS at the Fermi energy, states/eV/f.u.: 3.2
! Theoretical density, Mg/m³: 5.0
! Energy above the lowest structure with this stoichiometry, eV per atom: 0.000

=====

(4)
! Mn2RePdN PBE-GGA optimized geometry; values from VASP
&SYSTEM
  ibrav = 0, nat = 5, ntyp = 4
/
ATOMIC_SPECIES
Mn 54.94 Mn.upf
Pd 106.42 Pd.upf
N 14.01 N.upf
Re 186.21 Re.upf
CELL_PARAMETERS angstrom
-0.3162 -3.6785 -1.0732
3.0240 0.4218 -2.3368
2.4317 -1.0708 2.9536
ATOMIC_POSITIONS crystal
Mn 0.0000 0.5000 0.0000
Mn 0.5000 0.0000 0.0000
Pd 0.5000 0.5000 0.5000
N 0.0000 0.0000 0.0000
Re 0.0000 0.0000 0.5000
! Formation energy (no corrections), eV/f.u.: 0.192
! Space group: P4/mmm
! DOS at the Fermi energy, states/eV/f.u.: 5.7
! Theoretical density, Mg/m³: 11.8

=====

(5)
! La2MgAg PBE-GGA optimized geometry; values from VASP
&SYSTEM
  ibrav = 0, nat = 4, ntyp = 3
/
ATOMIC_SPECIES
Mg 24.30 Mg.upf
Ag 107.87 Ag.upf
La 138.91 La.upf
CELL_PARAMETERS angstrom
-2.3170 2.0240 4.3477
-5.3107 0.2588 0.3117
-2.6301 -3.1984 3.3498
ATOMIC_POSITIONS crystal
Mg 0.2500 0.2500 0.2500
Ag 0.5000 0.5000 0.5000
La 0.7500 0.7500 0.7500
La 0.0000 0.0000 0.0000
=====

Tea said...

WOW! I go into taper and missed the BEST POST!

Congrats on the compliments (even though, you didn't really like the body builder one). Congrats on your whole approach to your diet. Avoiding m&m's? WOW!

doesn't it feel good to look in the mirror and like what you see?